Misleading: The seasonal flu and COVID-19 are both respiratory illnesses but there are key differences between the two that underpin differences in public health responses to both illnesses. For example, COVID-19 is deadlier and more likely to cause complications compared to the flu.

FULL CLAIM: Natural immunity is best for COVID-19; “Check out this clip of Dr. Fauci in 2004 talking about the STRENGTH of Natural Immunity.. Fast forward 18 years, what happened to this ‘science?!’ Why does Fauci continue to LIE to the American people?!”
In early April 2022, several social media posts shared a video clip of a 2004 Washington Journal interview of Anthony Fauci on the subject of the flu and the flu vaccine. During the interview, Fauci was asked if someone who got the flu still needs to get a flu vaccine. He replied that “If she got the flu for 14 days, she’s as protected as anybody can be because the best vaccination is to get infected yourself”. The full interview can be found on C-SPAN.
Some social media posts, such as this Facebook post from the political advocacy group FreedomWorks, implied that his remarks meant that infection-induced immunity for COVID-19 is also better than vaccination. The post also claimed that Fauci had been dishonest about infection-induced immunity: “Fast forward 18 years, what happened to this ‘science?!’ Why does Fauci continue to LIE to the American people?!” FreedomWorks followed up with another post, this time containing a meme quoting Fauci from the 2004 interview, which was interpreted by several users to mean that natural immunity is preferable to vaccination in the case of COVID-19 as well. This Facebook post by Young Americans for Liberty, and another by Tea Party Patriots, were also interpreted by several users in the same way.
However, the posts are inaccurate in suggesting that “the science” has been ignored. The fact that infection can generate immunity isn’t disputed by scientists, including Fauci. But one of the problems with infection-induced immunity, that vaccination doesn’t have, is that infection-induced immunity is unpredictable. Paul Offit, a pediatrician and professor of vaccinology at the University of Pennsylvania, told Health Feedback that both infection and vaccination can protect people from serious illness. But in the case of infection-induced immunity, the level of protection depends on the severity of the infection.
=====
No. 1
{
  "formula": "BaTeCl2",
  "functional": "GGA-PBE",
  "state": "relaxed",
  "crystal_system": "trigonal",
  "space_group": "R-3m, No. 166",
  "lattice": [[2.3369, 1.3492, 10.1608], [-2.3369, 1.3492, 10.1608], [0.0000, -2.6984, 10.1608]],
  "species": ["Ba", "Te", "Cl", "Cl"],
  "fractional_positions": [[0.0000, 0.0000, 0.0000], [0.5000, 0.5000, 0.5000], [0.3813, 0.3813, 0.3813], [0.6187, 0.6187, 0.6187]]
}

***

No. 2
{
  "formula": "BaTeCl2",
  "functional": "GGA-PBE",
  "state": "relaxed",
  "crystal_system": "tetragonal",
  "space_group": "I-4m2, No. 119",
  "lattice": [[-2.2234, 2.2234, 6.0844], [2.2234, -2.2234, 6.0844], [2.2234, 2.2234, -6.0844]],
  "species": ["Ba", "Te", "Cl", "Cl"],
  "fractional_positions": [[0.0000, 0.0000, 0.0000], [0.7500, 0.2500, 0.5000], [0.2500, 0.7500, 0.5000], [0.5000, 0.5000, 0.0000]]
}

***

no.,uncorrected formation energy (eV/atom)
1,-1.328
2,-1.347
=====
“If your initial illness with COVID is an asymptomatic infection or a mildly symptomatic infection, you may be less protected than if you’re vaccinated,” he explained. “But if you have a moderate or severe illness associated with COVID, you’re well-protected against severe illness upon subsequent exposure.”
He pointed out that “vaccination tends to protect more consistently [than infection], because you’re given a known dose of the virus.” On the flip side, immunity developed from infection is much less predictable because people receive variable doses of the virus.
A study of more than 1,700 people in Iceland also estimated that about 9% of infected people don’t have detectable levels of antibodies four months after infection[1].
Furthermore, infection-induced immunity is more dangerous, as it entails running the risks from illness, including organ damage and death. The Facebook posts didn’t acknowledge this fact.
Overall, natural immunity can protect people, but it’s less reliable because the level of protection depends on factors such as the amount of virus that caused the infection (infectious dose) and disease severity, which aren’t under our control. On the other hand, vaccine-induced immunity is uniform and robust thanks to the consistent dosage. Therefore, vaccine-induced immunity is more reliable and safer compared to infection-induced immunity. This is why public health officials continue to recommend vaccination over infection, even if people were previously infected. This Insight article by Health Feedback discusses the debate over vaccine-induced immunity and natural immunity in greater detail.
Another feature of these social media posts is the attempt to draw parallels between the flu and COVID-19, which do share several similarities. Both are respiratory illnesses that can produce the same symptoms. However, they both differ from each other in important ways, as explained by the U.S. Centers for Disease Control and Prevention, and these key differences are the reason why the public health response to each one is different. Therefore, extrapolating vaccine recommendations for flu to COVID-19 is misleading as it fails to account for these differences. It’s not the first time that misleading comparisons between the flu and COVID-19 have been made; Health Feedback documented and debunked several in the past, such as the inaccurate claim that flu and COVID-19 have the same case fatality rate.
COVID-19 is deadlier than the flu. A study done in France and published in December 2020 in The Lancet Respiratory Medicine found that COVID-19 was more likely than flu to cause complications and therefore more likely to kill[2]. Another study on U.S. veterans showed similar trends, with COVID-19 being associated with a higher risk of damage to various organs as well as death[3]. The UK charity Health Foundation analyzed mortality data for flu and COVID-19 and found that COVID-19 exacted a higher death toll:
“In a particularly bad flu year on average around 30,000 people in the UK die from flu and pneumonia, with a loss of around 250,000 life years. This is just a sixth of the life years lost to COVID-19.“
# Someone pasted materials data at this point
(1)
Entry from Alexandria: an optimized crystal structure of Ac2B2Ru3 (PBE).

Unit cell a=4.2309 b=6.1750 c=5.9563 alpha=110.49 beta=110.80 gamma=90.00
With the nearest neighbours (Å) after each atom.
Sites, in units of the cell vectors:
Ac 0.3816 0.1996 0.7633  5 Ru 2.99-3.20, 1 B 3.06
Ac 0.6184 0.8004 0.2367  5 Ru 2.99-3.20, 1 B 3.06
B 0.1482 0.3468 0.2964  4 Ru 2.12-2.16
B 0.8518 0.6532 0.7036  4 Ru 2.12-2.16
Ru 0.0000 0.0000 0.0000  2 B 2.16
Ru 0.3196 0.6508 0.6392  3 B 2.12-2.14
Ru 0.6804 0.3492 0.3608  3 B 2.12-2.14

Calculated values
As for the crystal system: monoclinic. The electronic total energy comes out at -7.316 eV/atom. The space group is C2/m (12). The formation enthalpy at 0 K is -0.26 eV/atom.

=====

(2)
Entry from Alexandria: an optimized crystal structure of CeTi2S4 (PBE).

Unit cell a=3.7359 b=6.1451 c=12.0492 alpha=90.00 beta=90.00 gamma=107.70
With the nearest neighbours (Å) after each atom.
Sites, in units of the cell vectors:
Ce 0.6187 0.2374 0.7500  6 S 2.80-2.86
Ce 0.3813 0.7626 0.2500  6 S 2.80-2.86
Ti 0.1164 0.2328 0.4431  6 S 2.41-2.63
Ti 0.8836 0.7672 0.9431  6 S 2.41-2.63
Ti 0.1164 0.2328 0.0569  6 S 2.41-2.63
Ti 0.8836 0.7672 0.5569  6 S 2.41-2.63
S 0.7641 0.5282 0.1112  3 Ti 2.46-2.63
S 0.7641 0.5282 0.3888  3 Ti 2.46-2.63
S 0.2359 0.4718 0.8888  3 Ti 2.46-2.63
S 0.2359 0.4718 0.6112  3 Ti 2.46-2.63
S 0.9401 0.8802 0.7500  2 Ti 2.42
S 0.0599 0.1198 0.2500  2 Ti 2.42
S 0.5000 0.0000 0.0000  4 Ti 2.41
S 0.5000 0.0000 0.5000  4 Ti 2.41

Calculated values
As for the crystal system: orthorhombic. The electronic total energy comes out at -7.024 eV/atom. The space group is Cmcm (63). Its energy relative to the elements, uncorrected is -1.56 eV/atom.

=====

(3)
Entry from Alexandria: an optimized crystal structure of POs2Se (PBE).

Unit cell a=2.8322 b=2.8322 c=10.0241 alpha=90.00 beta=90.00 gamma=120.45
With the nearest neighbours (Å) after each atom.
Sites, in units of the cell vectors:
P 0.0000 0.0000 0.5631  2 Os 2.35
Os 0.0000 0.0000 0.9865  2 Se 2.56, 8 Os 2.75-2.83
Os 0.5000 0.5000 0.7511  2 P 2.35
Se 0.5000 0.5000 0.1993  2 Os 2.56, 6 Se 2.81-2.83

Calculated values
As for the crystal system: orthorhombic. The energy above the most stable polymorph in this dataset is 0.416 eV/atom. The electronic total energy comes out at -7.226 eV/atom. The space group is Cmm2 (35). Its energy relative to the elements, uncorrected is 0.61 eV/atom.

=====

(4)
Entry from Alexandria: an optimized crystal structure of ScTc3Ag (PBE).

Unit cell a=4.7939 b=4.7939 c=4.7939 alpha=90.00 beta=90.00 gamma=90.00
With the nearest neighbours (Å) after each atom.
Sites, in units of the cell vectors:
Sc 0.5000 0.5000 0.5000  12 Tc 3.39
Tc 0.0000 0.5000 0.0000  2 Ag 2.40
Tc 0.0000 0.0000 0.5000  2 Ag 2.40
Tc 0.5000 0.0000 0.0000  2 Ag 2.40
Ag 0.0000 0.0000 0.0000  6 Tc 2.40

Calculated values
Figure 1. A comparison of years of life lost from the flu and COVID-19 among the elderly. Graph from The Health Foundation.
Paul Offit, Professor of Vaccinology, Perelman School of Medicine, University of Pennsylvania:
The answer to the question “Will COVID-19 protect against illness, especially severe illness, upon reexposure to the virus” is yes. Natural infection can also protect against serious illness, just like vaccination can protect serious illness. The difference is, it depends on the nature of your initial illness. In other words, if your initial illness with COVID is an asymptomatic infection or a mildly symptomatic infection, you may be less protected than if you’re vaccinated. But if you have a moderate or severe illness associated with COVID, you’re well-protected against severe illness upon subsequent exposure. So natural infection can protect. I think it’s fair to say though, that vaccination tends to protect more consistently, because you’re given a known dose of the virus. Because when you’re naturally infected, you’re essentially given variable doses of the virus. But when you get vaccinated, you get a known dose of the viral surface protein.
- 1 – Gudbjartsson et al. (2020) Humoral Immune Response to SARS-CoV-2 in Iceland. New England Journal of Medicine.
- 2 – Piroth et al. (2020) Comparison of the characteristics, morbidity, and mortality of COVID-19 and seasonal influenza: a nationwide, population-based retrospective cohort study. The Lancet Respiratory Medicine.
- 3 – Xie et al. (2020) Comparative evaluation of clinical manifestations and risk of death in patients admitted to hospital with covid-19 and seasonal influenza: cohort study. BMJ.